Input >
____________
DFT (PBE) results for a relaxed structure of VAsOsSe2.

```
data_VAsOsSe2
_symmetry_space_group_name_H-M 'P 4/m m m'
_symmetry_Int_Tables_number 123
_symmetry_space_group_name_Hall '-P 4 2'
_cell_length_a 5.028
_cell_length_b 5.028
_cell_length_c 4.566
_cell_angle_alpha 90.00
_cell_angle_beta 90.00
_cell_angle_gamma 90.00
loop_
_atom_site_label
_atom_site_type_symbol
_atom_site_fract_x
_atom_site_fract_y
_atom_site_fract_z
V1 V 0.000 0.000 0.000
As1 As 0.500 0.500 0.000
Os1 Os 0.500 0.500 0.500
Se1 Se 0.000 0.500 0.500
```

The calculated density is 6.8 g cm⁻³. The calculation puts the energy relative to the lowest polymorph listed for this composition at 0.008 eV/atom. Its electronic total energy is -26.56 eV per cell. The calculation puts the energy relative to the elements, uncorrected at 1.082 eV per atom. The value obtained for the total moment is 0.290 μB/f.u.

DFT (PBE) results for a relaxed structure of Er2Tl3Zn.

```
data_Er2Tl3Zn
_symmetry_space_group_name_H-M 'C 1 2/c 1'
_symmetry_Int_Tables_number 15
_symmetry_space_group_name_Hall '-C 2yc'
_cell_length_a 16.099
_cell_length_b 6.494
_cell_length_c 6.492
_cell_angle_alpha 90.00
_cell_angle_beta 113.71
_cell_angle_gamma 90.00
loop_
_atom_site_label
_atom_site_type_symbol
_atom_site_fract_x
_atom_site_fract_y
_atom_site_fract_z
Er1 Er 0.151 0.246 0.150
Tl1 Tl 0.000 0.000 0.250
Tl2 Tl 0.142 0.274 0.641
Zn1 Zn 0.000 0.500 0.250
```

The calculated density is 10.8 g cm⁻³. Its electronic total energy is -73.33 eV per cell. The value obtained for the total moment is 0.000 μB/f.u.

> Which value of total moment does entry 2 give?

0.000 μB/f.u.

=====

No. 1
First-principles (PBE-GGA) data for a relaxed Er3MnS6 crystal, as listed in the Alexandria database.

Cell and atoms, written as extended XYZ:
```
10
Lattice="0.0210 -2.0605 6.3386 -0.0500 -6.5194 1.3852 5.9537 -2.9136 2.5374" Properties=species:S:1:pos:R:3 pbc="T T T"
Er 0.3473 -5.7232 5.1469
Er 5.6783 -5.7711 5.1137
Er 3.2817 -2.8895 2.5541
S 1.5020 -3.3350 4.6163
S 4.3915 -4.0110 6.6407
S 4.3561 -5.3181 2.8482
S 1.4575 -7.3859 3.3244
S 1.4915 -6.4794 7.4787
S 4.3514 -7.9489 5.8766
Mn 2.7662 -8.6050 7.7063
```

Values from the calculation:
Final energy, eV per atom: -6.365
Formation energy from raw total energies, meV/atom: -1603

No. 2
First-principles (PBE-GGA) data for a relaxed Pr5PuAs6 crystal, as listed in the Alexandria database.

Cell and atoms, written as extended XYZ:
```
12
Lattice="7.2813 -0.1134 -1.3732 -3.9341 6.1281 -1.3732 0.1425 0.2561 7.4061" Properties=species:S:1:pos:R:3 pbc="T T T"
As 2.6768 0.5172 1.1453
As 0.9222 1.6571 4.9196
As 0.8129 5.7536 3.5143
As -0.9714 2.5474 1.1453
As 2.5676 4.6137 -0.2599
As 4.4611 3.7234 3.5143
Pr 3.5373 1.9702 -1.3732
Pr -1.9758 5.2060 2.3298
Pr -0.1900 4.0445 -1.3732
Pr 5.4656 1.0648 2.3298
Pr 1.7449 3.1354 2.3298
Pu 0.0000 0.0000 0.0000
```

Values from the calculation:
Final energy, eV per atom: -6.919
Formation energy from the elements, eV per atom: -1.4086

=====

Below is a geometry-optimized MnOF structure, with properties calculated at the GGA+U level. Values from VASP.

Cell and atoms, written as Quantum ESPRESSO input:
```
&SYSTEM
  ibrav = 0, nat = 24, ntyp = 3
/
ATOMIC_SPECIES
Mn 54.94 Mn.upf
O 16.00 O.upf
F 19.00 F.upf
ATOMIC_POSITIONS angstrom
Mn 0.000 0.000 0.000
Mn -0.301 3.268 3.640
Mn 0.974 -0.317 3.582
Mn 1.014 3.265 0.123
Mn 2.688 1.558 1.865
Mn 2.451 4.744 5.288
Mn 3.375 5.127 1.707
Mn 4.004 1.306 5.167
O 0.927 4.717 4.040
O 1.275 1.398 0.451
O 2.108 6.611 2.293
O 2.376 3.436 1.459
O 3.660 4.984 6.746
O 4.064 1.860 3.380
O 5.322 -0.059 5.042
O 5.256 2.646 5.497
F 1.086 1.650 3.337
F 0.914 4.608 6.758
F 2.604 -0.084 5.035
F 2.502 2.647 5.522
F 3.762 4.653 3.741
F 4.195 1.573 0.188
F 5.032 6.497 1.942
F 5.287 3.755 1.741
CELL_PARAMETERS angstrom
5.741 0.000 0.000
-0.343 6.923 0.000
-0.253 -0.682 6.915
```
____________
Activity >
Please restate all of the notes above verbatim.
Solution >
DFT (PBE) results for a relaxed structure of VAsOsSe2.

```
data_VAsOsSe2
_symmetry_space_group_name_H-M 'P 4/m m m'
_symmetry_Int_Tables_number 123
_symmetry_space_group_name_Hall '-P 4 2'
_cell_length_a 5.028
_cell_length_b 5.028
_cell_length_c 4.566
_cell_angle_alpha 90.00
_cell_angle_beta 90.00
_cell_angle_gamma 90.00
loop_
_atom_site_label
_atom_site_type_symbol
_atom_site_fract_x
_atom_site_fract_y
_atom_site_fract_z
V1 V 0.000 0.000 0.000
As1 As 0.500 0.500 0.000
Os1 Os 0.500 0.500 0.500
Se1 Se 0.000 0.500 0.500
```

The calculated density is 6.8 g cm⁻³. The calculation puts the energy relative to the lowest polymorph listed for this composition at 0.008 eV/atom. Its electronic total energy is -26.56 eV per cell. The calculation puts the energy relative to the elements, uncorrected at 1.082 eV per atom. The value obtained for the total moment is 0.290 μB/f.u.

DFT (PBE) results for a relaxed structure of Er2Tl3Zn.

```
data_Er2Tl3Zn
_symmetry_space_group_name_H-M 'C 1 2/c 1'
_symmetry_Int_Tables_number 15
_symmetry_space_group_name_Hall '-C 2yc'
_cell_length_a 16.099
_cell_length_b 6.494
_cell_length_c 6.492
_cell_angle_alpha 90.00
_cell_angle_beta 113.71
_cell_angle_gamma 90.00
loop_
_atom_site_label
_atom_site_type_symbol
_atom_site_fract_x
_atom_site_fract_y
_atom_site_fract_z
Er1 Er 0.151 0.246 0.150
Tl1 Tl 0.000 0.000 0.250
Tl2 Tl 0.142 0.274 0.641
Zn1 Zn 0.000 0.500 0.250
```

The calculated density is 10.8 g cm⁻³. Its electronic total energy is -73.33 eV per cell. The value obtained for the total moment is 0.000 μB/f.u.

> Which value of total moment does entry 2 give?

0.000 μB/f.u.

=====

No. 1
First-principles (PBE-GGA) data for a relaxed Er3MnS6 crystal, as listed in the Alexandria database.

Cell and atoms, written as extended XYZ:
```
10
Lattice="0.0210 -2.0605 6.3386 -0.0500 -6.5194 1.3852 5.9537 -2.9136 2.5374" Properties=species:S:1:pos:R:3 pbc="T T T"
Er 0.3473 -5.7232 5.1469
Er 5.6783 -5.7711 5.1137
Er 3.2817 -2.8895 2.5541
S 1.5020 -3.3350 4.6163
S 4.3915 -4.0110 6.6407
S 4.3561 -5.3181 2.8482
S 1.4575 -7.3859 3.3244
S 1.4915 -6.4794 7.4787
S 4.3514 -7.9489 5.8766
Mn 2.7662 -8.6050 7.7063
```

Values from the calculation:
Final energy, eV per atom: -6.365
Formation energy from raw total energies, meV/atom: -1603

No. 2
First-principles (PBE-GGA) data for a relaxed Pr5PuAs6 crystal, as listed in the Alexandria database.

Cell and atoms, written as extended XYZ:
```
12
Lattice="7.2813 -0.1134 -1.3732 -3.9341 6.1281 -1.3732 0.1425 0.2561 7.4061" Properties=species:S:1:pos:R:3 pbc="T T T"
As 2.6768 0.5172 1.1453
As 0.9222 1.6571 4.9196
As 0.8129 5.7536 3.5143
As -0.9714 2.5474 1.1453
As 2.5676 4.6137 -0.2599
As 4.4611 3.7234 3.5143
Pr 3.5373 1.9702 -1.3732
Pr -1.9758 5.2060 2.3298
Pr -0.1900 4.0445 -1.3732
Pr 5.4656 1.0648 2.3298
Pr 1.7449 3.1354 2.3298
Pu 0.0000 0.0000 0.0000
```

Values from the calculation:
Final energy, eV per atom: -6.919
Formation energy from the elements, eV per atom: -1.4086

=====

Below is a geometry-optimized MnOF structure, with properties calculated at the GGA+U level. Values from VASP.

Cell and atoms, written as Quantum ESPRESSO input:
```
&SYSTEM
  ibrav = 0, nat = 24, ntyp = 3
/
ATOMIC_SPECIES
Mn 54.94 Mn.upf
O 16.00 O.upf
F 19.00 F.upf
ATOMIC_POSITIONS angstrom
Mn 0.000 0.000 0.000
Mn -0.301 3.268 3.640
Mn 0.974 -0.317 3.582
Mn 1.014 3.265 0.123
Mn 2.688 1.558 1.865
Mn 2.451 4.744 5.288
Mn 3.375 5.127 1.707
Mn 4.004 1.306 5.167
O 0.927 4.717 4.040
O 1.275 1.398 0.451
O 2.108 6.611 2.293
O 2.376 3.436 1.459
O 3.660 4.984 6.746
O 4.064 1.860 3.380
O 5.322 -0.059 5.042
O 5.256 2.646 5.497
F 1.086 1.650 3.337
F 0.914 4.608 6.758
F 2.604 -0.084 5.035
F 2.502 2.647 5.522
F 3.762 4.653 3.741
F 4.195 1.573 0.188
F 5.032 6.497 1.942
F 5.287 3.755 1.741
CELL_PARAMETERS angstrom
5.741 0.000 0.000
-0.343 6.923 0.000
-0.253 -0.682 6.915
```